
"We, in essence, clear space for Him. We remove the clutter of our mind and the distractions of our day and give Him all the attention, all the room to fill ..."

WE SEEK NOT THE experience but God who is able to do many wonderful things. He can bring the experience. He desires to show us many things but brings them to those with humble hearts. We fall in love first, then there’s a wedding, then there’s the honeymoon, and intimacy. That is as God designed it. Our relationship with our loving God is the same way. First, we come to know Him, as closely as we’d know our spouse. We recognize His voice, know His inflections, know how He’d respond, then with our hearts full of Him, with our eyes solely upon Him, He does what amazes us.

(Someone pasted crystal structures at this point)
'''
Starting from a PBE-relaxed structure, the XRD peak list of NaCd2BiO4 was calculated for Cu Kα.

Crystal structure
a = 4.8879 Å, b = 4.8879 Å, c = 9.4657 Å
α = 90.00°, β = 90.00°, γ = 90.00°
Space group I-4m2 (No. 119)
One atom of each set of equivalent atoms:
Na 0.0000 0.0000 0.0000 x2
Cd 0.0000 0.0000 0.5000 x2
Cd 0.0000 0.5000 0.2500 x2
Bi 0.0000 0.5000 0.7500 x2
O 0.0000 0.0000 0.2561 x4
O 0.0000 0.5000 0.0006 x4

Peak list (10 most intense, 10° ≤ 2θ ≤ 80°, low angle first)
two_theta, I_rel, index
18.75, 19, 0 0 2
20.45, 32, 1 0 1
25.78, 18, 1 1 0
32.07, 100, 1 1 2
36.78, 62, 2 0 0
38.03, 28, 0 0 4
52.99, 21, 2 2 0
53.93, 39, 2 0 4
63.29, 30, 3 1 2
67.06, 20, 2 2 4

Starting from a PBE-relaxed structure, the XRD peak list of Sm2Cd3Pd was calculated for Cu Kα.

Crystal structure
a = 3.5211 Å, b = 4.8682 Å, c = 8.5369 Å
α = 90.00°, β = 90.00°, γ = 90.00°
Space group Pmm2 (No. 25)
One atom of each set of equivalent atoms:
Sm 0.0000 0.0000 0.0000 x1
Sm 0.0000 0.5000 0.4423 x1
Cd 0.5000 0.0000 0.6284 x1
Cd 0.5000 0.5000 0.1316 x1
Cd 0.5000 0.5000 0.7967 x1
Pd 0.5000 0.0000 0.2991 x1

Peak list (10 most intense, 10° ≤ 2θ ≤ 80°, low angle first)
two_theta, I_rel, index
32.98, 47, 1 0 2
33.11, 100, 1 1 1
36.58, 70, 0 1 3
36.93, 38, 0 2 0
50.34, 28, 1 2 2
51.94, 14, 2 0 0
64.12, 14, 1 3 1
65.19, 25, 2 1 3
65.42, 14, 2 2 0
66.31, 12, 0 3 3

Starting from a PBE-relaxed structure, the XRD peak list of Tl2InGa2 was calculated for Cu Kα.

Crystal structure
a = 7.3735 Å, b = 7.3735 Å, c = 4.8149 Å
α = 90.00°, β = 90.00°, γ = 90.00°
Space group P4/mbm (No. 127)
One atom of each set of equivalent atoms:
Tl 0.1740 0.3260 0.0000 x4
In 0.0000 0.0000 0.5000 x2
Ga 0.1287 0.6287 0.5000 x4

Peak list (10 most intense, 10° ≤ 2θ ≤ 80°, low angle first)
two_theta, I_rel, index
25.18, 11, 1 1 1
27.04, 17, 2 1 0
30.54, 45, 2 0 1
32.92, 100, 2 1 1
37.35, 25, 0 0 2
38.61, 29, 3 1 0
51.07, 10, 4 1 0
54.78, 39, 3 1 2
56.28, 13, 3 3 1
64.58, 14, 2 1 3

Starting from a PBE-relaxed structure, the XRD peak list of LiTiNO was calculated for Cu Kα.

Crystal structure
a = 3.4252 Å, b = 3.4252 Å, c = 4.0395 Å
α = 90.00°, β = 90.00°, γ = 120.00°
Space group P-6m2 (No. 187)
One atom of each set of equivalent atoms:
Li 0.0000 0.0000 0.0000 x1
Ti 0.6667 0.3333 0.5000 x1
N 0.0000 0.0000 0.5000 x1
O 0.6667 0.3333 0.0000 x1

Peak list (10 most intense, 10° ≤ 2θ ≤ 80°, low angle first)
two_theta, I_rel, index
22.00, 36, 0 0 1
30.13, 100, 1 0 0
37.62, 25, 1 0 1
44.88, 20, 0 0 2
53.51, 33, 1 1 0
55.00, 29, 1 0 2
58.54, 12, 1 1 1
62.64, 9, 2 0 0
67.24, 5, 2 0 1
72.34, 23, 1 1 2

Starting from a PBE-relaxed structure, the XRD peak list of AcCo2Sn4 was calculated for Cu Kα.

Crystal structure
a = 18.8024 Å, b = 4.4887 Å, c = 7.2232 Å
α = 90.00°, β = 90.00°, γ = 90.00°
Space group Pnma (No. 62)
One atom of each set of equivalent atoms:
Ac 0.1400 0.2500 0.0046 x4
Co 0.0351 0.7500 0.7451 x4
Co 0.2125 0.2500 0.4858 x4
Sn 0.0264 0.7500 0.1482 x4
Sn 0.0699 0.2500 0.5058 x4
Sn 0.1796 0.7500 0.6888 x4
'''

It's a daily thing. I’ve heard ministers imply to only expect a couple visions in your lifetime, to only have a couple words spoken in our spiritual ears, that more than that is a calling for prophets or those in ministry offices. There is some truth to this, where prophetic words and spiritual gifts are concerned, but our God will show Himself to any who seek Him, as much as we hunger for it, as deep as our love for Him runs.

Some knowledge is needed, a certain amount of growth, but also childlike innocence. He speaks not to the arrogant in this manner, nor to the ungodly or those selfish in nature. He speaks to those who value what He says, to those who are not looking for an unusual happening but who are satiated with His worship. Worship sounds prideful to us, in our human thinking, but it isn’t that He must be fed or else He grows angry. It is that when we lift Him up, when we exalt Him, then He moves among us. We, in essence, clear space for Him. We remove the clutter of our mind and the distractions of our day and give Him all the attention, all the room to fill and strengthen and enlighten our soul, our spirit man, to quicken or make alive our bodies.

“And if the Spirit of him who raised up Jesus from the dead dwells in you, he who raised up Jesus Christ from the dead will give life to your perishable bodies too, for the sake of his Spirit who dwells in you.” (Romans 8:11 Knox)

Not just for our sake but for His. So He can live in us and speak to us and work through us. I heard a minister describe what should be our lifestyle, that when we enter a building, the presence of God should be felt by those around us, and when we walk past people, the Spirit of God touches those who bump up against us and they are healed. Not that we should think of ourselves high and with great importance and so these things happen, but that we are just so full of Him, and overflowing with the love of God for people, that that is the result.

It is truly all of Him and none of us, but we are willing vessels. Fill me, Lord. Send me, Lord. Use me, Father. Be seen in me, Jesus. Let me be your voice, sweet Spirit.

It is those with this attitude who will see what many do not. It is those who cherish Him, who guard the experience in their heart, not casting it like pearls before swine, who will find great understanding. The apostle Paul spoke of those who crept into the church trying to lead men astray into worship of angels, and Peter, in Acts, of one who thought the supernatural could be purchased with coins. If you go looking for an otherworldly experience outside of God, you will find what you do not want. The devil is too eager to fill in the blanks. You can’t call it God and it actually be God. The devil can appear as an angel of light. He doesn’t care if you’re frightened of his voice or seduced by it, open-eyed or through deception. Whatever will destroy you.

For this reason, we set our hearts on God. We soak in His Word and place Him before us continually. Then we will seek Him, not what He will do, and we will find more than we can contain, we will hear things unimaginable, and we will know what others cannot. And the vision before us will be heaven. Not to entertain us, though the Father will do exceeding abundantly far above what we can ask or think. But because heaven is home, and God wants us to see what goes on there. I want to be one who stands in the right place with the right heart that He can display all His glories to.

“And I knew such a man, (whether in the body, or out of the body, I cannot tell: God knoweth;) How that he was caught up into paradise, and heard unspeakable words, which it is not lawful for a man to utter. Of such an one will I glory: yet of myself I will not glory, but in mine infirmities.” (2 Corinthians 12:3-5)

“I John, who also am your brother, and companion in tribulation, and in the kingdom and patience of Jesus Christ, was in the isle that is called Patmos, for the word of God, and for the testimony of Jesus Christ. I was in the Spirit on the Lord's day, and heard behind me a great voice, as of a trumpet,” (Revelation 1:9-10)

Image by Alexa from Pixabay

Suzanne D. Williams, Author
